Record 1
The following is a DFT calculation (PBE) of an optimized crystal structure of KTc2Te.

Output
Space-group type: C2/m, No. 12
Uncorrected energy: -5.6451 eV per atom
Magnetic moment: 0.52 Bohr magnetons per cell

abc: 5.503 5.503 6.245
angles: 106.11 106.11 39.98
Positions (direct):
K: 0.000 0.000 0.000
Tc: 0.214 0.214 0.575
Tc: 0.786 0.786 0.425
Te: 0.500 0.500 0.500

=====

Record 2
The following is a DFT calculation (PBE) of an optimized crystal structure of BePdSe.

Output
Space-group type: P1, No. 1
Uncorrected energy: -4.4721 eV per atom
Magnetic moment: 0.00 Bohr magnetons per cell

abc: 3.617 4.513 7.479
angles: 75.81 77.91 66.48
Positions (direct):
Be: 0.000 0.000 0.000
Be: 0.433 0.327 0.778
Pd: 0.144 0.969 0.702
Pd: 0.709 0.607 0.968
Se: 0.370 0.134 0.146
Se: 0.893 0.565 0.594

=====

Record 3
The following is a DFT calculation (PBE) of an optimized crystal structure of Ta2NbFe5Co2.

Output
Energy of formation: -0.020 eV per atom
Space-group type: P4/mbm, No. 127
Uncorrected energy: -9.0500 eV per atom
Magnetic moment: 12.16 Bohr magnetons per cell

abc: 8.376 8.376 3.745
angles: 90.00 90.00 90.00
Positions (direct):
Ta: 0.165 0.335 0.000
Ta: 0.335 0.835 0.000
Ta: 0.665 0.165 0.000
Ta: 0.835 0.665 0.000
Nb: 0.000 0.000 0.000
Nb: 0.500 0.500 0.000
Fe: 0.000 0.500 0.500
Fe: 0.069 0.792 0.500
Fe: 0.208 0.069 0.500
Fe: 0.292 0.569 0.500
Fe: 0.431 0.292 0.500
Fe: 0.500 0.000 0.500
Fe: 0.569 0.708 0.500
Fe: 0.708 0.431 0.500
Fe: 0.792 0.931 0.500
Fe: 0.931 0.208 0.500
Co: 0.131 0.631 0.000
Co: 0.369 0.131 0.000
Co: 0.631 0.869 0.000
Co: 0.869 0.369 0.000

* * * * *

GGA-PBE SmMg2Sn, relaxed; E above lowest polymorph = 203 meV/atom; V = 26.19 Å³/atom; DOS at the Fermi energy = 0.6338 states/eV/atom; density = 5.036 g/cm3
1.0
-2.214 2.458 3.808
2.093 -1.665 2.292
3.380 4.802 -1.134
Sm Mg Sn
1 2 1
Direct
0.500 0.500 0.000 Sm
0.000 0.113 0.256 Mg
0.000 0.887 0.744 Mg
0.500 0.000 0.500 Sn

* * * * *

GGA-PBEsol MgAgP2, relaxed; energy of formation from the pure elements = -10 kJ/mol of formula units; N(E_F) = 0.17 states/eV/atom; density = 4.094 g/cm³; total moment = 0.00 μB per cell
1.0
4.290 -1.655 0.000
4.290 1.655 0.000
-3.450 0.000 5.545
Mg Ag P
1 1 2
Direct
0.000 0.000 0.000 Mg
0.000 0.000 0.500 Ag
0.350 0.350 0.162 P
0.650 0.650 0.838 P



GGA-PBEsol MgAg2P, relaxed; energy of formation from the pure elements = 5 kJ/mol of formula units; offset from the most stable computed form = 0 meV/atom; N(E_F) = 0.46 states/eV/atom; density = 6.618 g/cm³; total moment = 0.00 μB per cell
1.0
0.000 3.240 3.240
3.240 0.000 3.240
3.240 3.240 0.000
Mg Ag P
1 2 1
Direct
0.000 0.000 0.000 Mg
0.250 0.250 0.250 Ag
0.500 0.500 0.500 Ag
0.750 0.750 0.750 P



GGA-PBEsol Mg2AgP, relaxed; energy of formation from the pure elements = 15 kJ/mol of formula units; N(E_F) = 0.19 states/eV/atom; density = 4.269 g/cm³; total moment = 0.00 μB per cell
1.0
0.000 3.316 3.316
3.316 0.000 3.316
3.316 3.316 0.000
Mg Ag P
2 1 1
Direct
0.000 0.000 0.000 Mg
0.250 0.250 0.250 Mg
0.500 0.500 0.500 Ag
0.750 0.750 0.750 P

Echo only the last part of the entries earlier on, starting with the line that has "Pd: 0.709".

Pd: 0.709 0.607 0.968
Se: 0.370 0.134 0.146
Se: 0.893 0.565 0.594

=====

Record 3
The following is a DFT calculation (PBE) of an optimized crystal structure of Ta2NbFe5Co2.

Output
Energy of formation: -0.020 eV per atom
Space-group type: P4/mbm, No. 127
Uncorrected energy: -9.0500 eV per atom
Magnetic moment: 12.16 Bohr magnetons per cell

abc: 8.376 8.376 3.745
angles: 90.00 90.00 90.00
Positions (direct):
Ta: 0.165 0.335 0.000
Ta: 0.335 0.835 0.000
Ta: 0.665 0.165 0.000
Ta: 0.835 0.665 0.000
Nb: 0.000 0.000 0.000
Nb: 0.500 0.500 0.000
Fe: 0.000 0.500 0.500
Fe: 0.069 0.792 0.500
Fe: 0.208 0.069 0.500
Fe: 0.292 0.569 0.500
Fe: 0.431 0.292 0.500
Fe: 0.500 0.000 0.500
Fe: 0.569 0.708 0.500
Fe: 0.708 0.431 0.500
Fe: 0.792 0.931 0.500
Fe: 0.931 0.208 0.500
Co: 0.131 0.631 0.000
Co: 0.369 0.131 0.000
Co: 0.631 0.869 0.000
Co: 0.869 0.369 0.000

* * * * *

GGA-PBE SmMg2Sn, relaxed; E above lowest polymorph = 203 meV/atom; V = 26.19 Å³/atom; DOS at the Fermi energy = 0.6338 states/eV/atom; density = 5.036 g/cm3
1.0
-2.214 2.458 3.808
2.093 -1.665 2.292
3.380 4.802 -1.134
Sm Mg Sn
1 2 1
Direct
0.500 0.500 0.000 Sm
0.000 0.113 0.256 Mg
0.000 0.887 0.744 Mg
0.500 0.000 0.500 Sn

* * * * *

GGA-PBEsol MgAgP2, relaxed; energy of formation from the pure elements = -10 kJ/mol of formula units; N(E_F) = 0.17 states/eV/atom; density = 4.094 g/cm³; total moment = 0.00 μB per cell
1.0
4.290 -1.655 0.000
4.290 1.655 0.000
-3.450 0.000 5.545
Mg Ag P
1 1 2
Direct
0.000 0.000 0.000 Mg
0.000 0.000 0.500 Ag
0.350 0.350 0.162 P
0.650 0.650 0.838 P



GGA-PBEsol MgAg2P, relaxed; energy of formation from the pure elements = 5 kJ/mol of formula units; offset from the most stable computed form = 0 meV/atom; N(E_F) = 0.46 states/eV/atom; density = 6.618 g/cm³; total moment = 0.00 μB per cell
1.0
0.000 3.240 3.240
3.240 0.000 3.240
3.240 3.240 0.000
Mg Ag P
1 2 1
Direct
0.000 0.000 0.000 Mg
0.250 0.250 0.250 Ag
0.500 0.500 0.500 Ag
0.750 0.750 0.750 P



GGA-PBEsol Mg2AgP, relaxed; energy of formation from the pure elements = 15 kJ/mol of formula units; N(E_F) = 0.19 states/eV/atom; density = 4.269 g/cm³; total moment = 0.00 μB per cell
1.0
0.000 3.316 3.316
3.316 0.000 3.316
3.316 3.316 0.000
Mg Ag P
2 1 1
Direct
0.000 0.000 0.000 Mg
0.250 0.250 0.250 Mg
0.500 0.500 0.500 Ag
0.750 0.750 0.750 P